**Contents**
/*
Entry 1:
# AcBiPbN
Computed powder XRD pattern, Cu Kα, 1.54184 Å. Input: a crystal structure in Alexandria, relaxed with PBE.

Crystal structure
abc: 7.948 7.948 7.948
angles: 152.31 152.31 39.57
Atoms (fractional coordinates):
Ac 0.000 0.000 0.000
Bi 0.335 0.335 0.000
Pb 0.677 0.677 0.000
N 0.504 0.504 0.000

Top 8 peaks for 2θ = 10–90°, in order of rising 2θ:
- 2θ 29.53, d 3.024, intensity 100.0
- 2θ 33.31, d 2.690, intensity 40.5
- 2θ 36.03, d 2.493, intensity 16.0
- 2θ 47.82, d 1.902, intensity 15.0
- 2θ 49.87, d 1.829, intensity 25.8
- 2θ 57.21, d 1.610, intensity 33.0
- 2θ 60.82, d 1.523, intensity 13.0
- 2θ 61.30, d 1.512, intensity 14.1

=====

Entry 2:
# AcHg6Pb23
Computed powder XRD pattern, Cu Kα, 1.54184 Å. Input: a crystal structure in Alexandria, relaxed with PBE.

Crystal structure
abc: 10.808 10.808 10.808
angles: 114.34 114.34 100.11
Atoms (fractional coordinates):
Ac 0.000 0.000 0.000
Hg 0.244 0.244 0.488
Hg 0.244 0.756 0.000
Hg 0.245 0.245 0.000
Hg 0.755 0.755 0.000
Hg 0.756 0.244 0.000
Hg 0.756 0.756 0.512
Pb 0.000 0.000 0.500
Pb 0.000 0.500 0.000
Pb 0.000 0.500 0.500
Pb 0.126 0.377 0.749
Pb 0.128 0.398 0.270
Pb 0.128 0.858 0.730
Pb 0.142 0.872 0.270
Pb 0.371 0.623 0.749
Pb 0.377 0.126 0.749
Pb 0.377 0.629 0.251
Pb 0.398 0.128 0.270
Pb 0.500 0.000 0.000
Pb 0.500 0.000 0.500
Pb 0.500 0.500 0.000
Pb 0.500 0.500 0.500
Pb 0.602 0.872 0.730
Pb 0.623 0.371 0.749
Pb 0.623 0.874 0.251
Pb 0.629 0.377 0.251
Pb 0.858 0.128 0.730
Pb 0.872 0.142 0.270
Pb 0.872 0.602 0.730
Pb 0.874 0.623 0.251

Top 8 peaks for 2θ = 10–90°, in order of rising 2θ:
- 2θ 30.51, d 2.930, intensity 63.5
- 2θ 33.69, d 2.660, intensity 100.0
- 2θ 43.69, d 2.072, intensity 23.5
- 2θ 56.29, d 1.634, intensity 44.3
- 2θ 62.19, d 1.493, intensity 17.4
- 2θ 70.85, d 1.330, intensity 11.6
- 2θ 72.09, d 1.310, intensity 10.0
- 2θ 89.94, d 1.091, intensity 11.7

=====

Entry 1:
For Pm3HoTm2, a DFT-relaxed cell (GGA-PBE, Alexandria) gives the computed X-ray diffraction stick pattern in this record (λ = 1.5418 Å (Cu Kα)).
Intensities are scaled so that the largest is 100.

Structure:
Unit cell a=9.4652 b=9.4652 c=6.1788 alpha=90.23 beta=90.23 gamma=44.42
Element x y z (fractional)
Pm  0.1249  0.8751  0.7500
Pm  0.2078  0.4582  0.5832
Pm  0.4582  0.2078  0.0832
Pm  0.5418  0.7922  0.9168
Pm  0.7922  0.5418  0.4168
Pm  0.8751  0.1249  0.2500
Ho  0.3747  0.6253  0.2500
Ho  0.6253  0.3747  0.7500
Tm  0.0422  0.2915  0.9173
Tm  0.2915  0.0422  0.4173
Tm  0.7085  0.9578  0.5827
Tm  0.9578  0.7085  0.0827

Top 12 peaks for 2θ from 10° to 90°, by angle:
| Position (°2θ) | d_spacing | I/Imax |
| --- | --- | --- |
| 30.63 | 2.918 | 100 |
| 35.46 | 2.531 | 34 |
| 35.63 | 2.520 | 17 |
| 51.02 | 1.790 | 12 |
| 51.15 | 1.786 | 24 |
| 60.70 | 1.526 | 29 |
| 60.92 | 1.521 | 14 |
| 63.78 | 1.459 | 12 |
| 83.29 | 1.160 | 6 |
| 83.42 | 1.159 | 9 |
| 85.84 | 1.132 | 6 |
| 85.94 | 1.131 | 6 |

---

Entry 2:
For Pm6HoTm6, a DFT-relaxed cell (GGA-PBE, Alexandria) gives the computed X-ray diffraction stick pattern in this record (λ = 1.5418 Å (Cu Kα)).
Intensities are scaled so that the largest is 100.

Structure:
Unit cell a=6.5728 b=6.5728 c=11.0549 alpha=90.00 beta=90.00 gamma=114.97
Element x y z (fractional)
Pm  0.0000  0.0000  0.1742
Pm  0.0000  0.0000  0.8258
Pm  0.2628  0.7372  0.0000
Pm  0.3579  0.6421  0.5000
Pm  0.6421  0.3579  0.5000
Pm  0.7372  0.2628  0.0000
Ho  0.0000  0.0000  0.5000
Tm  0.0000  0.5000  0.2758
Tm  0.0000  0.5000  0.7242
Tm  0.5000  0.0000  0.2758
Tm  0.5000  0.0000  0.7242
Tm  0.5000  0.5000  0.1981
Tm  0.5000  0.5000  0.8019

Top 12 peaks for 2θ from 10° to 90°, by angle:
| Position (°2θ) | d_spacing | I/Imax |
| --- | --- | --- |
| 29.10 | 3.069 | 77 |
| 30.00 | 2.978 | 94 |
| 31.76 | 2.817 | 27 |
| 32.34 | 2.768 | 69 |
| 34.19 | 2.623 | 100 |
| 35.19 | 2.550 | 32 |
| 36.29 | 2.476 | 36 |
| 42.24 | 2.139 | 19 |
| 51.74 | 1.767 | 21 |
| 59.55 | 1.553 | 25 |
| 60.47 | 1.531 | 21 |
| 62.35 | 1.489 | 21 |

---

Entry 3:
*/

**Assignment**
Could you filter the material above: keep the lines with the word "gives"?

**Outcome**
For Pm3HoTm2, a DFT-relaxed cell (GGA-PBE, Alexandria) gives the computed X-ray diffraction stick pattern in this record (λ = 1.5418 Å (Cu Kα)).
For Pm6HoTm6, a DFT-relaxed cell (GGA-PBE, Alexandria) gives the computed X-ray diffraction stick pattern in this record (λ = 1.5418 Å (Cu Kα)).